Longest living survivor of lung transplantation after having had BAC lung cancer - 1268649


My sister Debra had a lung transplant in February, 2008 at Toronto General Hospital, Toronto, Ontario Canada after having had IV stage B.A.C lung cancer (the kind that is least invasive to the body outside of the lungs).

She just went for her 7th year post transplant check-up and is considered "stable".

Does anyone know of or has anyone heard of anyone in their 8th year of post lung transplant life after having had B.A.C lung cancer?

Her Dr.'s at Toronto General call her "the miracle lady".





Hi Laurie, Welcome to Grace.

How wonderful to be the sister of and better yet be the miracle lady! I will make sure Dr. West sees this post. He's the founder of Grace and one of the top specialists of BAC so he'll be the person here with the most knowledge of what's happened in the field.

The little I know transplant isn't at all a standard of care for those with BAC because it never showed enough benefit. It seems your sister is an exception.

Personally I'm feeling the relief of my husband being an exception as well. He was diagnosed in 09 with stage IV lung cancer after receiving curative chemo/rads for squamous cell nsclc and was very ill. Tuesday he received an all clear scan making it 2 1/2 years of consecutive clean scans without treatment.

It happens all to seldom that people bet the odds but it's always marvelous to hear a story like your sisters. We are the truly lucky ones and I look forward as more and more people join the ranks on this side of the spectrum as better treatments are developed.

Calculated crystals, kept here for reference:
********
Diffraction record for K4CuBi3O8. The powder X-ray diffraction pattern is computed, not measured: it uses a cell relaxed with GGA-PBE and copper Kα.

The 10 most intense peaks (2θ from 10° to 90°), by intensity:
2θ (°)  I_rel
14.16  100
35.74  63
30.70  54
28.51  52
33.25  39
30.54  28
29.99  27
48.30  24
50.90  23
15.18  14

Structure:
Cell: 7.1933 7.1933 7.3203 Å, 117.08 117.08 57.53°
Element x y z (fractional)
K 0.0000 0.0000 0.0000
K 0.0000 0.5000 0.0000
K 0.5000 0.0000 0.0000
K 0.5000 0.5000 0.0000
Cu 0.0000 0.0000 0.5000
Bi 0.0000 0.5000 0.5000
Bi 0.5000 0.0000 0.5000
Bi 0.5000 0.5000 0.5000
O 0.1867 0.7569 0.6637
O 0.2431 0.8133 0.3363
O 0.2693 0.2693 0.2927
O 0.2692 0.2692 0.7267
O 0.7308 0.7308 0.2733
O 0.7307 0.7307 0.7073
O 0.7569 0.1867 0.6637
O 0.8133 0.2431 0.3363

~~~~~

The following is a computed powder XRD pattern of LiCa4Al. It was derived from a GGA-PBE-relaxed structure, using Cu Kα.

Peak list (8 most intense, 2θ = 15–90°, most intense first)
| d [Å] | I/Imax |
| --- | --- |
| 3.832 | 100 |
| 2.727 | 89 |
| 2.692 | 74 |
| 1.916 | 25 |
| 1.568 | 25 |
| 2.222 | 21 |
| 1.722 | 17 |
| 1.574 | 15 |

Structural model:
```
data_LiCa4Al
_space_group_name_H-M_alt 'P 1'
_space_group_IT_number 1
_space_group_name_Hall 'P 1'
_cell_length_a 9.288
_cell_length_b 9.288
_cell_length_c 9.288
_cell_angle_alpha 34.15
_cell_angle_beta 34.15
_cell_angle_gamma 34.15
loop_
_atom_site_label
_atom_site_fract_x
_atom_site_fract_y
_atom_site_fract_z
Li1 0.000 0.000 0.000
Ca1 0.134 0.134 0.134
Ca2 0.382 0.382 0.382
Ca3 0.618 0.618 0.618
Ca4 0.866 0.866 0.866
Al1 0.500 0.500 0.500
```

~~~~~

[1]
This entry pairs a crystal structure of BaSrGdBiO6 with its theoretical powder diffractogram. Radiation: Cu Ka. Structure: a DFT-relaxed cell (PBE, the Materials Project).
Peak positions follow from Bragg's law for the DFT cell and can differ from measured ones.

Crystal structure
a = 6.1050 Å, b = 6.1573 Å, c = 8.6602 Å
α = 89.90°, β = 89.81°, γ = 89.97°
Space group P-1 (No. 2)
Inequivalent atoms, fractional coordinates:
Ba  0.0062  0.0288  0.2500 [2 per cell]
Sr  0.4919  0.5367  0.2492 [2 per cell]
Gd  0.0000  0.5000  0.0000 [1 per cell]
Gd  0.5000  0.0000  0.5000 [1 per cell]
Bi  0.0000  0.5000  0.5000 [1 per cell]
Bi  0.5000  0.0000  0.0000 [1 per cell]
O  0.0878  0.5098  0.7414 [2 per cell]
O  0.2076  0.7765  0.4616 [2 per cell]
O  0.2227  0.7910  0.0344 [2 per cell]
O  0.2805  0.2972  0.4535 [2 per cell]
O  0.3008  0.2829  0.0452 [2 per cell]
O  0.4330  0.0380  0.7581 [2 per cell]

Main lines, by angle (10° ≤ 2θ ≤ 90°):
2θ/deg	I_rel	index
20.5	23	1 1 0
29.0	66	1 1 2
29.2	100	-1 1 2
29.3	32	2 0 0
41.7	52	0 0 4
51.5	19	-1 3 2
51.7	23	2 0 4
51.9	16	3 1 -2

[2]
This entry pairs a crystal structure of Cs2CdI4 with its theoretical powder diffractogram. Radiation: Cu Ka. Structure: a DFT-relaxed cell (PBE, the Materials Project).
Peak positions follow from Bragg's law for the DFT cell and can differ from measured ones.

Crystal structure
********

All best,

Posts: 2


Thank you so much for responding - we both have a lot to be grateful indeed!

It seems that with each hurdle, my sister and her husband (advocate extraordinaire) work diligently through the necessary problem solving to get a resolution.

• Someone pasted data records at this point:
'''
# 1
Starting from a cell relaxed with GGA-PBE, the PXRD pattern of Ba2Cd5Hg12 was calculated for Cu Ka.
No peak broadening, texture or thermal motion is included.

Crystal structure
a = 8.121 Å, b = 8.121 Å, c = 8.121 Å
α = 79.27°, β = 79.27°, γ = 79.27°
Fractional positions:
Ba (0.169, 0.169, 0.169)
Ba (0.831, 0.831, 0.831)
Cd (0.000, 0.500, 0.500)
Cd (0.402, 0.402, 0.402)
Cd (0.500, 0.000, 0.500)
Cd (0.500, 0.500, 0.000)
Cd (0.598, 0.598, 0.598)
Hg (0.136, 0.136, 0.651)
Hg (0.136, 0.651, 0.136)
Hg (0.207, 0.500, 0.793)
Hg (0.207, 0.793, 0.500)
Hg (0.349, 0.864, 0.864)
Hg (0.500, 0.207, 0.793)
Hg (0.500, 0.793, 0.207)
Hg (0.651, 0.136, 0.136)
Hg (0.793, 0.207, 0.500)
Hg (0.793, 0.500, 0.207)
Hg (0.864, 0.349, 0.864)
Hg (0.864, 0.864, 0.349)

Principal peaks in the range 5° ≤ 2θ ≤ 70°, sorted by position:
2theta	intensity
17.1	31
29.4	48
29.9	23
32.6	36
33.7	34
34.1	100
34.6	41
37.1	20
38.4	77
62.1	21


# 2
Starting from a cell relaxed with GGA-PBE, the PXRD pattern of BaCd6Hg6 was calculated for Cu Ka.
No peak broadening, texture or thermal motion is included.

Crystal structure
a = 7.966 Å, b = 7.966 Å, c = 7.966 Å
α = 134.37°, β = 99.36°, γ = 97.94°
Fractional positions:
Ba (0.000, 0.000, 0.000)
Cd (0.000, 0.000, 0.500)
Cd (0.000, 0.500, 0.000)
Cd (0.242, 0.500, 0.742)
Cd (0.500, 0.000, 0.000)
Cd (0.500, 0.500, 0.500)
Cd (0.758, 0.500, 0.258)
Hg (0.188, 0.688, 0.500)
Hg (0.345, 0.345, 0.000)
Hg (0.354, 0.000, 0.354)
Hg (0.646, 0.000, 0.646)
Hg (0.655, 0.655, 0.000)
Hg (0.812, 0.312, 0.500)

Principal peaks in the range 5° ≤ 2θ ≤ 70°, sorted by position:
2theta	intensity
28.9	38
29.4	67
33.8	47
34.3	100
34.4	36
34.8	31
38.1	72
38.8	38
59.9	26
62.1	28


# 3
Starting from a cell relaxed with GGA-PBE, the PXRD pattern of Ba3Cd2Hg2 was calculated for Cu Ka.
No peak broadening, texture or thermal motion is included.

Crystal structure
a = 13.242 Å, b = 13.242 Å, c = 4.310 Å
α = 90.00°, β = 90.00°, γ = 159.95°
Fractional positions:
Ba (0.000, 0.000, 0.000)
'''
• Back to the article:

I'm so pleased to read about your husband receiving an "all clear" scan for 2 1/2 years - what a blessing for your family!

**Crystal structures, kept here for reference:**
- - -
HfZr8Te2: theoretical powder XRD pattern (a wavelength of 1.5418 Å), based on a structure optimized by DFT (GGA-PBE).
Lines closer than 0.1° are merged.

The 10 most intense peaks (2θ from 10° to 90°), in order of falling intensity:
Position (°2θ)  Rel. int.
34.13  100
33.31  98
39.72  80
36.39  56
34.56  52
40.61  40
33.11  40
35.66  32
31.92  28
22.73  27

Atomic structure:
```
HfZr8Te2
1.0
4.1195 -6.3647 0.0000
4.1195 6.3647 0.0000
-1.6627 0.0000 5.0355
Hf Zr Te
1 8 2
Direct
0.0000 0.0000 0.0000 Hf
0.0821 0.3100 0.6003 Zr
0.2280 0.7720 0.0000 Zr
0.3100 0.0821 0.6003 Zr
0.3814 0.3814 0.1581 Zr
0.6186 0.6186 0.8419 Zr
0.6900 0.9179 0.3997 Zr
0.7720 0.2280 0.0000 Zr
0.9179 0.6900 0.3997 Zr
0.3132 0.6868 0.5000 Te
0.6868 0.3132 0.5000 Te
```

---

Hf3Zr2Te2: theoretical powder XRD pattern (a wavelength of 1.5418 Å), based on a structure optimized by DFT (GGA-PBE).
Lines closer than 0.1° are merged.

The 10 most intense peaks (2θ from 10° to 90°), in order of falling intensity:
Position (°2θ)  Rel. int.
34.17  100
35.89  100
39.34  33
35.45  29
46.58  26
17.88  17
62.57  17
42.85  16
32.60  15
65.40  14

Atomic structure:
```
Hf3Zr2Te2
1.0
10.8729 0.0000 0.0000
0.0000 3.8994 0.0000
-2.0721 0.0000 7.4942
Hf Zr Te
6 4 4
Direct
0.0000 0.0000 0.0000 Hf
0.1258 0.0000 0.4502 Hf
0.3742 0.5000 0.5498 Hf
0.5000 0.5000 0.0000 Hf
0.6258 0.5000 0.4502 Hf
0.8742 0.0000 0.5498 Hf
0.0970 0.5000 0.7534 Zr
0.4030 0.0000 0.2466 Zr
0.5970 0.0000 0.7534 Zr
0.9030 0.5000 0.2466 Zr
0.1817 0.5000 0.1929 Te
0.3183 0.0000 0.8071 Te
0.6817 0.0000 0.1929 Te
0.8183 0.5000 0.8071 Te
```

----------

[1]
Starting from DFT lattice parameters and positions (PBE), the X-ray diffraction stick pattern of Tb2Dy2Mg3 was computed for copper Kα.
No peak broadening, texture or thermal motion is included.

Structure:
abc: 8.1778 8.1778 8.1778
angles: 109.47 109.47 109.47
Fractional positions:
Tb  0.0000  0.6617  0.5000
Tb  0.5000  0.0000  0.6617
Tb  0.6617  0.5000  0.0000
Tb  0.8383  0.8383  0.8383
Dy  0.0000  0.1483  0.5000
Dy  0.1483  0.5000  0.0000
Dy  0.3517  0.3517  0.3517
Dy  0.5000  0.0000  0.1483
Mg  0.1316  0.8816  0.2500
Mg  0.2500  0.1316  0.8816
Mg  0.3684  0.6184  0.7500
Mg  0.6184  0.7500  0.3684
Mg  0.7500  0.3684  0.6184
Mg  0.8816  0.2500  0.1316

Principal peaks in the range 15° ≤ 2θ ≤ 90°, in order of falling intensity:
- 2θ = 29.92°, I 100
- 2θ = 35.57°, I 93
- 2θ = 23.07°, I 84
- 2θ = 49.20°, I 53
- 2θ = 47.15°, I 43
- 2θ = 60.43°, I 29

***

[2]
Starting from DFT lattice parameters and positions (PBE), the X-ray diffraction stick pattern of La2CoH8 was computed for copper Kα.
No peak broadening, texture or thermal motion is included.

Structure:
abc: 7.3402 7.3402 4.1864
angles: 104.24 104.24 28.70
Fractional positions:
La  0.1414  0.1414  0.1421
La  0.8586  0.8586  0.8579
Co  0.5000  0.5000  0.5000
H  0.0072  0.0072  0.6384
H  0.2423  0.2423  0.7401
H  0.3870  0.3870  0.2907
H  0.4519  0.4519  0.7929
H  0.5481  0.5481  0.2071
H  0.6130  0.6130  0.7093
- - -

We are a very faithful family (my husband has been a Reverend since 1975 and I will be ordained in June of this year) and pray quite earnestly and with conviction for my dearly loved sister every day - sometimes many times during the day actually.

I look forward to reading Dr. West's reaction to my sister's survival story.

God bless you and your husband,

Laurie DelPino


Oh thanks Laurie for the reminder, I promised I'd poke Dr. West but let it slide. I'm really sorry for that I'm usually better plugged in, so to speak. Your sister’s is a unique situation and since it’s in Dr. W’s wheelhouse should be seen by him.

The next bit is TMI but is new info and not yet expressly written. :) AKA, The biggest excuse ever written:

Dr. West is really trying to be more hands off because his part has become really time consuming for one who is already busy. Jim, other contributing members and I have more than an ordinary amount of lay person knowledge on the subject and we know the site so we can serve as librarian to others. So much has already been written about and can serve as answers to really so many questions. The real educated experts are those oncologists who give their time to Grace in hopes more and more people become participating members in the care and decision making team.

If you're old enough and know how cancer care has and is changing since Nixon's War on Cancer (my dad passed from cancer March 1970 having never gotten treatment) you know how lucky we are to have our oncologists on Grace who want to help make the change to patient/family centered decision making.

So Grace is in the process of moving from every thread being responded to by an oncologist (usually our busiest of peeps) to a handful of lay peeps with several of our finest oncs ready in the wings when needed.

I leave your thread alone now with only hopes and dreams of continued good scans for our loved ones.


Dr West
Posts: 4735

The problem with reports on lung transplantation for BAC is that they are relatively short-term follow up of a few years, and patients are doing well, but MANY patients could be doing well from BAC a few years later no matter what you do or don't do. As the "miracle" status of your sister indicates, good long term results haven't been the rule, but people don't tend to rush to report the disappointing long-term results after many of the promising early reports, so we're left to wonder "where are they now?", like a child TV star you never heard from again.

I'm happy she's done so well. That's the exception, but great for her, and you!

-Dr. West